Addiction is a cruel disease, and it is capable of tearing apart entire families. And when you have a loved one dealing with an addiction, we may have had to deal with actions that have hurt you and others in your circle. There may be behaviors that are very, very hard to forgive. For people who don’t have an addiction problem, or any major mental health issues, it can be hard to see it as a “disease.” This can make it hard to support your loved one as he or she tries to overcome the problem.
We can’t wave a magic wand and make you forget the hurts, but we can do two things: we can explain the workings of addiction in order to help you better understand it as a disease, and we can tell you how to seek help in dealing with your anger and resentment.
Let’s begin with addiction, which is often misunderstood. Addiction is defined as a mental disease. This is meant very literally: we are talking about brain chemistry. In the case of psychologically addicting substances, here, in general terms, is how it all works:
The brain chemistry changed
The substance your loved one craves got its first foothold when he or she tried it for the first time. It affected the chemistry of his brain somehow: perhaps it encouraged receptors in the brain to open or close, or perhaps it directly triggered receptors, tricking your the brain into thinking it was getting a surge of dopamine or another feel-good chemical. Whatever happened, it felt good.
Here the entry breaks off for records of crystals =
~~~
NiSn2N2: computed powder X-ray diffraction pattern (a wavelength of 1.5418 Å), based on a structure optimized by DFT (GGA-PBE).

Most intense lines, 2θ = 5–70°, by angle:
| 2θ/deg | I (rel.) | (hkl) |
| --- | --- | --- |
| 25.1 | 296 | 1 0 3 |
| 29.3 | 356 | 0 0 4 |
| 32.4 | 1000 | 1 1 2 |
| 32.9 | 170 | 2 0 3 |
| 34.3 | 157 | 0 1 3 |
| 36.7 | 495 | 2 1 1 |
| 37.5 | 261 | 3 0 1 |
| 39.0 | 176 | 1 0 5 |
| 43.2 | 135 | 3 0 3 |
| 52.5 | 193 | 2 1 5 |
| 53.7 | 180 | 0 2 0 |
| 55.2 | 190 | 3 1 4 |

Structural model:
```
data_NiSn2N2
_chemical_formula_sum 'Ni4 Sn8 N8'
_symmetry_space_group_name_H-M 'P n m a'
_symmetry_Int_Tables_number 62
_cell_length_a 7.3322
_cell_length_b 3.4158
_cell_length_c 12.1798
_cell_angle_alpha 90.00
_cell_angle_beta 90.00
_cell_angle_gamma 90.00
loop_
_symmetry_equiv_pos_as_xyz
'x,y,z'
'-x,-y,-z'
'-x+1/2,-y,z+1/2'
'x+1/2,y,-z+1/2'
'x+1/2,-y+1/2,-z+1/2'
'-x+1/2,y+1/2,z+1/2'
'-x,y+1/2,-z'
'x,-y+1/2,z'
loop_
_atom_site_label
_atom_site_fract_x
_atom_site_fract_y
_atom_site_fract_z
Ni1 0.2241 0.2500 0.1298
Sn1 0.0006 0.2500 0.6535
Sn2 0.1382 0.7500 0.9144
N1 0.1599 0.2500 0.2792
N2 0.2083 0.7500 0.4758
```

---

SrNiN4: computed powder X-ray diffraction pattern (a wavelength of 1.5418 Å), based on a structure optimized by DFT (GGA-PBE).

Most intense lines, 2θ = 5–70°, by angle:
| 2θ/deg | I (rel.) | (hkl) |
| --- | --- | --- |
| 20.4 | 217 | 1 0 1 |
| 25.3 | 429 | 1 1 0 |
| 25.4 | 420 | 1 -1 1 |
| 28.4 | 464 | 0 0 2 |
| 28.6 | 304 | 1 0 -1 |
| 28.7 | 303 | 1 0 2 |
| 29.5 | 1000 | 0 2 1 |
| 30.6 | 333 | 1 1 2 |
| 33.3 | 471 | 0 2 -1 |
| 38.8 | 435 | 2 0 1 |
| 43.1 | 196 | 0 0 3 |
| 49.6 | 219 | 2 -2 0 |

Structural model:
```
data_SrNiN4
_chemical_formula_sum 'Sr2 Ni2 N8'
_symmetry_space_group_name_H-M 'P -1'
_symmetry_Int_Tables_number 2
_cell_length_a 4.6379
_cell_length_b 6.4476
_cell_length_c 6.7667
_cell_angle_alpha 82.02
_cell_angle_beta 70.12
_cell_angle_gamma 89.65
loop_
_symmetry_equiv_pos_as_xyz
'x,y,z'
'-x,-y,-z'
loop_
_atom_site_label
_atom_site_fract_x
_atom_site_fract_y
_atom_site_fract_z
Sr1 0.1933 0.2272 0.1138
Ni1 0.0000 0.5000 0.5000
Ni2 0.5000 0.0000 0.5000
N1 0.1306 0.0004 0.5003
N2 0.2043 0.6351 0.0930
N3 0.2108 0.8227 0.0802
N4 0.3741 0.4990 0.5001
```

---

Ta3Ni3N: computed powder X-ray diffraction pattern (a wavelength of 1.5418 Å), based on a structure optimized by DFT (GGA-PBE).

Most intense lines, 2θ = 5–70°, by angle:
| 2θ/deg | I (rel.) | (hkl) |
| --- | --- | --- |
| 13.6 | 93 | 1 1 1 |
| 22.3 | 83 | 2 2 0 |
| 31.7 | 221 | 4 0 0 |
| 34.6 | 262 | 3 3 1 |
| 39.1 | 541 | 4 2 2 |
| 41.5 | 1000 | 3 3 3 |
| 45.4 | 369 | 4 4 0 |
| 48.3 | 29 | 4 4 2 |
| 58.3 | 126 | 5 5 1 |
| 63.2 | 144 | 7 3 1 |
| 66.2 | 20 | 8 0 0 |
| 67.9 | 131 | 7 3 3 |

Structural model:
Cell: 11.2963 11.2963 11.2963 Å, 90.00 90.00 90.00°
Space group Fd-3m (No. 227, origin choice 2)
Unique sites:
Ta  0.0714  0.3750  0.3750 (multiplicity 48)
Ni  0.0000  0.0000  0.5000 (multiplicity 16)
Ni  0.0404  0.0404  0.7096 (multiplicity 32)
~~~
The entry goes on =
But your your loved one’s brain took note. It reacted to the excess somehow: maybe it closed or opened receptors itself in order to rebalance things, or maybe it stopped producing as much dopamine. Sober, your friend or family member would feel worse than they would feel if they had never taken the substance. The substance could help the person feel normal again. It could also make them feel high again–but, this time, it would take more. And chasing that high would only affect the brain more and more, making the substance more and more essential. A “switch flipped,” and using the substance was no longer a choice. To get sober would then require weathering withdrawal symptoms, researchers say. That’s best done at rehab, practitioners at an IV spa Florida say, or at least with the help of a professional. Addicts on their own will often go to great lengths to avoid withdrawal and life without the substance–and this is often the context of their most unforgivable actions.
They lost control
When under the influence of such substances, your loved one was not in control. When relatively sober, their disease incentivized them so strongly to seek access to the substance that they cannot rightly be said to have been in control then, either. Addiction is a disease, and your loved one is victim.
You have the right to feel resentful
# Someone pasted calculated crystals at this point
/*
(1)
The following is a computed powder X-ray diffraction pattern of Li2Zn2InGaAu2. It was derived from DFT lattice parameters and positions (PBE), using Cu Kα (λ = 1.5418 Å).
Intensities are scaled so that the largest is 100.

Peak list (10 most intense, 10° ≤ 2θ ≤ 90°, sorted by position)
2theta  I/Imax
24.07  67
31.23  2
34.29  1
39.81  100
47.06  34
57.57  17
63.30  14
72.27  33
77.44  10
85.83  10

Cell and atoms:
Cell: 4.527 4.527 6.409 Å, 90.00 90.00 90.00°
Atoms (fractional coordinates):
Li (0.000, 0.500, 0.233)
Li (0.500, 0.000, 0.767)
Zn (0.000, 0.000, 0.000)
Zn (0.500, 0.500, 0.500)
In (0.000, 0.000, 0.500)
Ga (0.500, 0.500, 0.000)
Au (0.000, 0.500, 0.766)
Au (0.500, 0.000, 0.234)

(2)
The following is a computed powder X-ray diffraction pattern of NbPPbO5. It was derived from DFT lattice parameters and positions (PBE), using Cu Kα (λ = 1.5418 Å).
Intensities are scaled so that the largest is 100.

Peak list (10 most intense, 10° ≤ 2θ ≤ 90°, sorted by position)
2theta  I/Imax
14.61  21
23.03  29
24.84  21
25.43  18
27.57  50
28.50  100
30.65  33
35.10  18
41.99  19
47.94  17

Cell and atoms:
Cell: 6.000 6.482 6.628 Å, 103.24 103.33 110.79°
Atoms (fractional coordinates):
Nb (0.089, 0.037, 0.268)
Nb (0.911, 0.963, 0.732)
P (0.316, 0.630, 0.348)
P (0.684, 0.370, 0.652)
Pb (0.330, 0.672, 0.861)
Pb (0.670, 0.328, 0.139)
O (0.125, 0.717, 0.238)
O (0.157, 0.399, 0.381)
O (0.218, 0.052, 0.976)
O (0.468, 0.591, 0.198)
O (0.498, 0.812, 0.578)
O (0.502, 0.188, 0.422)
O (0.532, 0.409, 0.802)
O (0.782, 0.948, 0.024)
O (0.843, 0.601, 0.619)
O (0.875, 0.283, 0.762)

(3)
The following is a computed powder X-ray diffraction pattern of LiPrS4. It was derived from DFT lattice parameters and positions (PBE), using Cu Kα (λ = 1.5418 Å).
Intensities are scaled so that the largest is 100.

Peak list (10 most intense, 10° ≤ 2θ ≤ 90°, sorted by position)
2theta  I/Imax
12.17  51
23.39  53
24.46  89
30.92  70
37.07  40
40.47  100
42.40  16
47.86  47
51.78  18
73.58  22

Cell and atoms:
Cell: 7.712 7.712 7.712 Å, 33.61 33.61 33.61°
Atoms (fractional coordinates):
Li (0.000, 0.000, 0.000)
Pr (0.500, 0.500, 0.500)
S (0.109, 0.109, 0.109)
S (0.350, 0.350, 0.350)
S (0.650, 0.650, 0.650)
S (0.891, 0.891, 0.891)

What did the third record say?
The following is a computed powder X-ray diffraction pattern of LiPrS4. It was derived from DFT lattice parameters and positions (PBE), using Cu Kα (λ = 1.5418 Å).
Intensities are scaled so that the largest is 100.

Peak list (10 most intense, 10° ≤ 2θ ≤ 90°, sorted by position)
2theta  I/Imax
12.17  51
23.39  53
24.46  89
30.92  70
37.07  40
40.47  100
42.40  16
47.86  47
51.78  18
73.58  22

Cell and atoms:
Cell: 7.712 7.712 7.712 Å, 33.61 33.61 33.61°
Atoms (fractional coordinates):
Li (0.000, 0.000, 0.000)
Pr (0.500, 0.500, 0.500)
S (0.109, 0.109, 0.109)
S (0.350, 0.350, 0.350)
S (0.650, 0.650, 0.650)
S (0.891, 0.891, 0.891)


Record 1
# Li2DyY2Sn2
*/
# Back to the entry
But you can be a victim, too, and understanding addiction as a disease doesn’t necessarily make it easy to forget what addicts have done. You are not wrong to feel how you do! Your desire to let things to go is admirable, and it’s clear that you care about your loved one’s chances at recovery and want to be a part of their support structure. But you need to take care of yourself, too. The best way to do both is to seek support from a professional. If you are dealing with such feelings, we strongly recommend you consider therapy and mental get proactive about your mental health. You can find support through volunteer resources or can visit a therapist, psychologist, or psychiatrist. You may be able to support your loved one, but you deserve support, too.